**Exercise:**
It remains to say how many lines of the lines further below hold the word "equivalent", as a bare number.
**Data:**
- - -
Record 1
Structure and simulated PXRD pattern of KTlF4 (a crystal structure in Alexandria, relaxed with GGA-PBE; Cu Kα (λ = 1.5418 Å)).
Kinematic intensities with the Lorentz-polarization factor, no thermal factor.

Principal peaks in the range 5 to 70 degrees two-theta, low angle first:
2θ 12.4, d 7.116, rel. 21; 2θ 15.1, d 5.868, rel. 57; 2θ 21.2, d 4.191, rel. 29; 2θ 25.8, d 3.457, rel. 36; 2θ 26.5, d 3.366, rel. 100; 2θ 30.5, d 2.934, rel. 43; 2θ 43.2, d 2.096, rel. 38; 2θ 44.1, d 2.054, rel. 31; 2θ 51.0, d 1.792, rel. 17; 2θ 51.8, d 1.766, rel. 30

Cell and atoms:
a b c (Å): 8.2170 8.2170 10.3724
angles (deg): 90.00 90.00 120.00
Space group P3_1 (No. 144)
One atom of each set of equivalent atoms:
K (0.0168, 0.8355, 0.0000) x3
K (0.5027, 0.3517, 0.0243) x3
Tl (0.1522, 0.6632, 0.3485) x3
Tl (0.3389, 0.0291, 0.6799) x3
F (0.0066, 0.3961, 0.2377) x3
F (0.0539, 0.8614, 0.7402) x3
F (0.0736, 0.3465, 0.7973) x3
F (0.1288, 0.4826, 0.5312) x3
F (0.2157, 0.2014, 0.5843) x3
F (0.2211, 0.6041, 0.0175) x3
F (0.4556, 0.3168, 0.7736) x3
F (0.5331, 0.3771, 0.2802) x3



Record 2
Structure and simulated PXRD pattern of Rb3Tl4Bi2Au2 (a crystal structure in Alexandria, relaxed with GGA-PBE; Cu Kα (λ = 1.5418 Å)).
Kinematic intensities with the Lorentz-polarization factor, no thermal factor.

Principal peaks in the range 5 to 70 degrees two-theta, low angle first:
2θ 6.0, d 14.847, rel. 24; 2θ 18.2, d 4.866, rel. 32; 2θ 25.7, d 3.470, rel. 29; 2θ 30.3, d 2.951, rel. 20; 2θ 31.9, d 2.809, rel. 100; 2θ 35.4, d 2.535, rel. 24; 2θ 40.3, d 2.240, rel. 17; 2θ 44.4, d 2.041, rel. 36; 2θ 56.8, d 1.622, rel. 20; 2θ 65.6, d 1.423, rel. 20

Cell and atoms:
a b c (Å): 5.6187 5.6187 14.8467
angles (deg): 90.00 90.00 120.00
Space group P-3m1 (No. 164)
One atom of each set of equivalent atoms:
Rb (0.0000, 0.0000, 0.0000) x1
Rb (0.0000, 0.0000, 0.3065) x2
Tl (0.3333, 0.6667, 0.4100) x2
Tl (0.3333, 0.6667, 0.8159) x2
Bi (0.3333, 0.6667, 0.1671) x2
Au (0.3333, 0.6667, 0.6100) x2



Record 3
Structure and simulated PXRD pattern of ZnRuPt2 (a crystal structure in Alexandria, relaxed with GGA-PBE; Cu Kα (λ = 1.5418 Å)).
Kinematic intensities with the Lorentz-polarization factor, no thermal factor.

Principal peaks in the range 5 to 70 degrees two-theta, low angle first:
2θ 19.8, d 4.490, rel. 39; 2θ 38.1, d 2.361, rel. 8; 2θ 38.2, d 2.355, rel. 16; 2θ 39.9, d 2.260, rel. 100; 2θ 40.2, d 2.245, rel. 98; 2θ 46.3, d 1.962, rel. 33; 2θ 46.7, d 1.945, rel. 64; 2θ 50.9, d 1.795, rel. 7; 2θ 67.8, d 1.382, rel. 52; 2θ 68.6, d 1.369, rel. 10

Cell and atoms:
a b c (Å): 9.1011 2.7650 4.7858
angles (deg): 90.00 99.38 90.00
Space group C2/m (No. 12)
One atom of each set of equivalent atoms:
Zn (0.0000, 0.0000, 0.0000) x2
Ru (0.0000, 0.5000, 0.5000) x2
Pt (0.2485, 0.0000, 0.7467) x4



Record 4
Structure and simulated PXRD pattern of CeNdTlIn (a crystal structure in Alexandria, relaxed with GGA-PBE; Cu Kα (λ = 1.5418 Å)).
Kinematic intensities with the Lorentz-polarization factor, no thermal factor.

Principal peaks in the range 5 to 70 degrees two-theta, low angle first:
2θ 17.6, d 5.048, rel. 4; 2θ 26.4, d 3.377, rel. 3; 2θ 31.9, d 2.807, rel. 100; 2θ 35.6, d 2.524, rel. 37; 2θ 39.7, d 2.272, rel. 14; 2θ 51.2, d 1.785, rel. 13; 2θ 54.3, d 1.689, rel. 22; 2θ 61.6, d 1.506, rel. 30; 2θ 66.6, d 1.403, rel. 12; 2θ 67.1, d 1.394, rel. 12

Cell and atoms:
a b c (Å): 4.5439 5.0473 5.0489
angles (deg): 90.00 90.00 90.00
Space group Pmmm (No. 47)
One atom of each set of equivalent atoms:
Ce (0.0000, 0.0000, 0.0000) x1
Nd (0.0000, 0.5000, 0.5000) x1
Tl (0.5000, 0.0000, 0.5000) x1
In (0.5000, 0.5000, 0.0000) x1



Record 5
Structure and simulated PXRD pattern of Ho7Co2Bi2 (a crystal structure in Alexandria, relaxed with GGA-PBE; Cu Kα (λ = 1.5418 Å)).
Kinematic intensities with the Lorentz-polarization factor, no thermal factor.

Principal peaks in the range 5 to 70 degrees two-theta, low angle first:
- - -
**Outcome:**
4